5 Instructional Strategies That Are Often Misunderstood And Misused In The Classroom
Dr. T.J. Vari
Next to the page, the page also holds records of crystals.
1.
Theoretical powder X-ray diffraction pattern
Compound: TiZn4Ag3
Radiation: Cu Ka
Structure: a DFT-relaxed cell (GGA-PBE, Alexandria)
Lines closer than 0.1° are merged.

Peak list (10 most intense, 10° ≤ 2θ ≤ 80°, by angle)
two_theta, I/Imax
11.87, 4
23.87, 2
30.46, 2
35.53, 2
39.06, 100
43.62, 36
48.86, 13
63.40, 11
67.55, 18
77.04, 25

Structural model:
```
data_TiZn4Ag3
_chemical_formula_sum 'Ti1 Zn4 Ag3'
_space_group_name_H-M_alt 'P 1'
_space_group_IT_number 1
_space_group_name_Hall 'P 1'
_cell_length_a 2.934
_cell_length_b 2.934
_cell_length_c 14.913
_cell_angle_alpha 90.00
_cell_angle_beta 90.00
_cell_angle_gamma 90.00
loop_
_atom_site_label
_atom_site_type_symbol
_atom_site_fract_x
_atom_site_fract_y
_atom_site_fract_z
_atom_site_occupancy
Ti1 Ti 0.000 0.000 0.000 1
Zn1 Zn 0.500 0.500 0.123 1
Zn2 Zn 0.500 0.500 0.373 1
Zn3 Zn 0.500 0.500 0.627 1
Zn4 Zn 0.500 0.500 0.877 1
Ag1 Ag 0.000 0.000 0.248 1
Ag2 Ag 0.000 0.000 0.500 1
Ag3 Ag 0.000 0.000 0.752 1
```

2.
Theoretical powder X-ray diffraction pattern
Compound: Sc4FeAg
Radiation: Cu Ka
Structure: a DFT-relaxed cell (GGA-PBE, Alexandria)
Lines closer than 0.1° are merged.

Peak list (10 most intense, 10° ≤ 2θ ≤ 80°, by angle)
two_theta, I/Imax
18.75, 37
22.63, 38
23.10, 31
32.79, 71
34.81, 67
36.06, 100
39.74, 58
40.80, 36
41.44, 27
42.32, 29

Structural model:
```
data_Sc4FeAg
_chemical_formula_sum 'Sc8 Fe2 Ag2'
_space_group_name_H-M_alt 'P 1'
_space_group_IT_number 1
_space_group_name_Hall 'P 1'
_cell_length_a 7.043
_cell_length_b 7.043
_cell_length_c 5.622
_cell_angle_alpha 99.87
_cell_angle_beta 99.87
_cell_angle_gamma 110.09
loop_
_atom_site_label
_atom_site_type_symbol
_atom_site_fract_x
_atom_site_fract_y
_atom_site_fract_z
_atom_site_occupancy
Sc1 Sc 0.066 0.730 0.953 1
Sc2 Sc 0.203 0.363 0.610 1
Sc3 Sc 0.270 0.934 0.547 1
Sc4 Sc 0.363 0.203 0.110 1
Sc5 Sc 0.637 0.797 0.890 1
Sc6 Sc 0.730 0.066 0.453 1
Sc7 Sc 0.797 0.637 0.390 1
Sc8 Sc 0.934 0.270 0.047 1
Fe1 Fe 0.001 0.999 0.750 1
Fe2 Fe 0.999 0.001 0.250 1
Ag1 Ag 0.373 0.627 0.250 1
Ag2 Ag 0.627 0.373 0.750 1
```

----------

1.
Starting from the GGA-PBE geometry in the Materials Project, the powder XRD pattern of Bi8Mo3 was simulated for Cu Kα, 1.54184 Å.
Neutral-atom scattering factors, no anomalous dispersion.

Atomic structure:
```
Bi8Mo3
1.0
7.319 0.000 0.000
0.000 4.901 0.000
-3.585 0.000 16.770
Bi Mo
16 6
Cartesian
-1.073 1.225 6.836
-0.060 3.676 4.815
0.838 1.225 2.829
1.611 3.676 0.563
-1.187 1.225 15.061
-0.347 3.676 12.825
0.718 3.676 8.127
0.320 1.225 10.647
3.414 3.676 6.123
3.016 1.225 8.643
4.081 1.225 3.945
4.921 3.676 1.709
2.123 1.225 16.208
2.896 3.676 13.941
3.794 1.225 11.955
4.807 3.676 9.934
1.618 1.225 5.850
2.456 3.676 3.430
3.302 1.225 1.103
0.432 3.676 15.667
1.278 1.225 13.340
2.116 3.676 10.920
```

Main lines, in order of rising 2θ (2θ = 10–80°):
two_theta  Rel. int.
26.53  26.8
32.38  91.1
32.53  100.0
36.67  51.3
37.00  39.7
53.07  27.8

2.
Author of 6 Books on Educational Leadership | Speaker | Co-Host: FocusED | Host: College & Career Readiness Radio | School Leadership Coach | Executive Officer at TheSchoolHouse302
The following five strategies are intertwined with one another, furthering their misconception by educators. With the popularization of the science of learning, we can get these back on track in today's classrooms by understanding the nuances associated with each and, in some cases, the slight variation necessary for them to be effective. On the surface, they're all very good ideas, but the implementation has to be done well or they backfire. The truth is that they don't have to be misunderstood or demonized as bad ideas, and some folks have been getting them right all along. Let's take a look at the differences in what makes them work versus how they can be misused.
#1. Using Direct Instruction
Direct instruction got a bad name. I'm guilty as a former school leader of saying, "I don't want to see so much direct instruction." That didn't mean that we should banish it altogether, and I shouldn't have even used the phrase "direct instruction." Even a lecture has it's place. What we really need to avoid is the use of a bad and boring lecture. Direct instruction, as defined here, is super important for learning. What we're trying to prevent is the classroom where students are disengaged with their heads down while the teacher drones on in a monotone voice. Bring back quality direct instruction and learners will flourish.
(Between two parts of the entry: crystal structures)
********
# Be2CdAu7
Theoretical X-ray diffraction stick pattern, Cu Kα. Input: a cell relaxed with PBE.
Intensities are scaled so that the largest is 100.

Cell: 10.4701 10.4701 10.4701 Å, 157.32 157.32 32.30°
Element x y z (fractional)
Be 0.1784 0.1784 0.0000
Be 0.8216 0.8216 0.0000
Cd 0.5000 0.5000 0.0000
Au 0.0000 0.0000 0.0000
Au 0.1094 0.6094 0.5000
Au 0.2500 0.7500 0.5000
Au 0.3906 0.8906 0.5000
Au 0.6094 0.1094 0.5000
Au 0.7500 0.2500 0.5000
Au 0.8906 0.3906 0.5000

Largest 10 diffraction maxima, sorted by position, 10 to 90 degrees two-theta:
2theta, d (Å), I_rel
30.70, 2.912, 60
32.00, 2.797, 44
35.67, 2.517, 89
41.06, 2.198, 100
43.98, 2.059, 70
57.89, 1.593, 44
63.94, 1.456, 23
73.50, 1.288, 30
75.43, 1.260, 31
78.85, 1.214, 31



# Ag3SBr
Theoretical X-ray diffraction stick pattern, Cu Kα. Input: a cell relaxed with PBE.
Intensities are scaled so that the largest is 100.

Cell: 7.0030 6.8827 6.7687 Å, 61.72 59.94 58.34°
Element x y z (fractional)
Ag 0.0000 0.0000 0.0000
Ag 0.2948 0.2948 0.2052
Ag 0.3580 0.3580 0.6420
Ag 0.4056 0.8075 0.5944
Ag 0.7948 0.7948 0.7052
Ag 0.8075 0.4056 0.1925
S 0.0973 0.6213 0.9027
S 0.6213 0.0973 0.3787
Br 0.3684 0.8538 0.1462
Br 0.8538 0.3684 0.6316

Largest 10 diffraction maxima, sorted by position, 10 to 90 degrees two-theta:
2theta, d (Å), I_rel
25.45, 3.500, 27
25.95, 3.433, 25
29.74, 3.004, 25
31.29, 2.859, 26
31.89, 2.807, 100
35.70, 2.515, 18
36.89, 2.436, 48
38.32, 2.349, 30
44.92, 2.018, 32
54.24, 1.691, 21



# TbSiB
Theoretical X-ray diffraction stick pattern, Cu Kα. Input: a cell relaxed with PBE.
Intensities are scaled so that the largest is 100.

Cell: 3.5822 4.1123 6.2732 Å, 90.00 90.00 90.00°
Element x y z (fractional)
Tb 0.2500 0.0000 0.2342
Tb 0.7500 0.0000 0.7658
Si 0.2500 0.5000 0.6116
Si 0.7500 0.5000 0.3884
B 0.2500 0.5000 0.9413
B 0.7500 0.5000 0.0587

Largest 10 diffraction maxima, sorted by position, 10 to 90 degrees two-theta:
2theta, d (Å), I_rel
21.61, 4.112, 40
28.46, 3.137, 30
28.70, 3.111, 53
36.01, 2.494, 44
36.21, 2.481, 100
44.04, 2.056, 17
50.54, 1.806, 20
53.42, 1.715, 19
64.00, 1.455, 16
69.25, 1.357, 17



# Ba2LaCl7
Theoretical X-ray diffraction stick pattern, Cu Kα. Input: a cell relaxed with PBE.
Intensities are scaled so that the largest is 100.

Cell: 7.0754 15.8972 10.7994 Å, 90.00 91.01 90.00°
Element x y z (fractional)
Ba 0.2301 0.0000 0.1971
Ba 0.2297 0.0566 0.6972
Ba 0.2313 0.3398 0.0756
Ba 0.2305 0.7168 0.5757
Ba 0.7695 0.2168 0.4243
Ba 0.7687 0.8398 0.9244
Ba 0.7699 0.5000 0.8029
Ba 0.7703 0.5566 0.3028
La 0.2804 0.4054 0.5352
La 0.2799 0.6512 0.0353
La 0.7201 0.1512 0.9647
La 0.7196 0.9054 0.4648
Cl 0.0045 0.5380 0.5573
Cl 0.0045 0.5184 0.0571
Cl 0.0073 0.6744 0.8313
Cl 0.0081 0.3822 0.3312
Cl 0.1894 0.2344 0.5433
Cl 0.1887 0.8223 0.0434
Cl 0.2089 0.6333 0.2902
Cl 0.2105 0.4236 0.7902
Cl 0.3584 0.8489 0.3725
Cl 0.3592 0.2078 0.8723
Cl 0.4943 0.0017 0.9523
Cl 0.4944 0.0551 0.4527
Cl 0.4960 0.8809 0.6802
Cl 0.4967 0.1756 0.1801
Cl 0.5033 0.6756 0.8199
********
(Here the entry continues)
#2. Implementing Project-Based Learning
I'm a big fan of project-based learning (PBL), but it got misconstrued. All of a sudden, every test and quiz was replaced with a project. PBL is good because it allows students to demonstrate their learning in a way that isn't just rote memorization. But, rote memorization and recall are still critical for learning. I hope there's a day when tests aren't just used for grades but rather the process of studying for a test, the habits associated with studying for tests, and tests themselves are used to support learning and brain function. In fact, mistakes on tests are some of the best learning tools, but not if we just grade the test and move on without test corrections and reflective analysis. Keep PBL and bring back the tests.
#3. Applying a Student-Centered Approach
Students should feel a sense of agency as learners. They must be in control of their environment, and the acquisition of knowledge should make them feel powerful. That's why the classroom should be student-centered. But, not all the time. The pendulum swung, leaving some folks with the notion that the teacher should never be in command. Wrong. Quality routines and predictable environments will always be important so that students know what to do and how to act in the classroom. And, when PBL is done right, students are at the center. That doesn't mean that we don't balance the need for teachers to be on center stage at times, providing direction and instruction.
Crystal structures, as found in the file =
<<<
Entry 1:
This entry pairs a crystal structure of Cs7Au5O2 with its simulated X-ray diffraction stick pattern. Radiation: Cu Kα (weighted mean of Kα1 and Kα2). Structure: a DFT-relaxed cell (GGA-PBE, Alexandria).
Kinematic intensities with the Lorentz-polarization factor, no thermal factor.

Structure:
a = 6.1683 Å, b = 9.8220 Å, c = 17.7295 Å
α = 90.00°, β = 90.00°, γ = 90.00°
Space group Immm (No. 71)
Unique sites:
Cs1 0.0000 0.0000 0.0000
Cs2 0.0000 0.2091 0.5000
Cs3 0.0000 0.2818 0.1672
Au1 0.0000 0.0000 0.3125
Au2 0.0000 0.5000 0.0000
Au3 0.0000 0.5000 0.3566
O1 0.0000 0.2919 0.0000

Most intense lines, 2θ from 10° to 80°, by intensity:
2θ/deg	d [Å]	intensity
27.69	3.221	100
28.95	3.084	27
50.54	1.806	19
30.25	2.955	18
42.36	2.134	15
36.60	2.455	12
47.32	1.921	11
52.18	1.753	9
57.20	1.611	8
68.68	1.367	7
26.73	3.335	7
48.19	1.889	7

Entry 2:
This entry pairs a crystal structure of Cs12Au5O2 with its simulated X-ray diffraction stick pattern. Radiation: Cu Kα (weighted mean of Kα1 and Kα2). Structure: a DFT-relaxed cell (GGA-PBE, Alexandria).
Kinematic intensities with the Lorentz-polarization factor, no thermal factor.

Structure:
a = 19.6995 Å, b = 9.1617 Å, c = 11.3701 Å
α = 90.00°, β = 106.97°, γ = 90.00°
Space group C2/m (No. 12)
Unique sites:
Cs1 0.0006 0.0000 0.1719
Cs2 0.0011 0.5000 0.1750
Cs3 0.1503 0.2530 0.5758
Cs4 0.1516 0.2588 0.0749
Au1 0.0000 0.0000 0.5000
Au2 0.1928 0.5000 0.8441
Au3 0.1966 0.5000 0.3508
O1 0.0000 0.2459 0.0000

Most intense lines, 2θ from 10° to 80°, by intensity:
2θ/deg	d [Å]	intensity
28.79	3.101	100
27.15	3.284	64
17.12	5.180	59
25.41	3.505	56
28.42	3.140	55
18.37	4.831	53
31.47	2.843	37
39.34	2.290	28
52.51	1.743	26
34.63	2.590	25
49.24	1.851	24
54.34	1.688	22

Entry 3:
This entry pairs a crystal structure of CsPm2Au2O6 with its simulated X-ray diffraction stick pattern. Radiation: Cu Kα (weighted mean of Kα1 and Kα2). Structure: a DFT-relaxed cell (GGA-PBE, Alexandria).
Kinematic intensities with the Lorentz-polarization factor, no thermal factor.

Structure:
a = 6.6074 Å, b = 6.7949 Å, c = 6.8553 Å
α = 94.86°, β = 115.22°, γ = 116.62°
Space group P-1 (No. 2)
Unique sites:
Cs1 0.0000 0.0000 0.0000
Pm1 0.3679 0.6860 0.0374
Au1 0.0924 0.7594 0.4725
O1 0.0922 0.5995 0.1936
O2 0.2780 0.3480 0.7919
O3 0.4115 0.8955 0.7849

Most intense lines, 2θ from 10° to 80°, by intensity:
2θ/deg	d [Å]	intensity
29.80	2.998	100
27.10	3.290	92
31.29	2.858	84
30.06	2.973	72
16.18	5.479	58
30.67	2.915	53
29.26	3.052	46
17.61	5.036	41
39.61	2.275	36
51.89	1.762	31
43.09	2.099	30
16.02	5.531	28

Entry 4:
This entry pairs a crystal structure of Cs6PtAu2O with its simulated X-ray diffraction stick pattern. Radiation: Cu Kα (weighted mean of Kα1 and Kα2). Structure: a DFT-relaxed cell (GGA-PBE, Alexandria).
Kinematic intensities with the Lorentz-polarization factor, no thermal factor.

Structure:
a = 8.5510 Å, b = 12.3433 Å, c = 9.3634 Å
α = 90.00°, β = 90.00°, γ = 90.00°
Space group Pmmn (No. 59, origin choice 2)
Unique sites:
>>>
#4. Fostering Productive Struggle
Productive struggle, especially with mathematics (although I would argue that it's important for every subject), is really valuable for learners. But, somewhere along the way, we started to take the productive part out of the struggle. This means that students are just left with struggle, which isn't productive at all. For students to productively struggle, with a math problem for example, they have to have the right amount of prerequisite knowledge to do so. If every lesson begins with problems that students don't know how to approach, they're mistakes will be more ingrained in their minds than the ability to arrive at a solution. They have to know what kind of problems they're trying to solve before they can productively struggle to solve them.
#5. Elevating Student Voice
My chips are pushed in when it comes to elevating student voice. The talkers are the learners. You don't have to be a neuroscientist to understand that students need to be able to communicate, debate, and discuss their ideas for real learning to take place. My favorite quote of all time is, "I didn't know what I thought until I said it." I like to add, "I didn't know what I said until I wrote it." That said (and written), ideas have to come from somewhere, which means that teachers need to teach, and students need to read (a lot). This brings us back to the beginning of the conversation about direct instruction. Without it, students don't typically have enough to even talk about. Teach them, test them, and then let them talk about what they know.
Mastering Instructional Strategies
We can master these instructional strategies and prevent the pendulum from swinging too far back to a traditional classroom. We just need to support teachers on their path to balancing projects with tests, student-centered with teacher-driven instruction, productive struggle with knowledge acquisition, and learner voice with idea development.
Director of Training & Development & Senior Research Specialist-Kaizen Human Capital |Technical Editor | Writer/Author | Senior Certified HR Specialist | Adjunct Professor | Change Management Specialist| DIEB Expert
2 个月Insightful, Dr. T.J. Vari@